Saturday, February 29, 2020

California Democrats, Solving The Problems of Our Day

Fresh off of destroying jobs with AB5, California Democrats finally turn their attention to the needs of all those mothers shopping at Target:
A new California bill would require some retailers to have gender-neutral floor space inside their stores.

Assembly Bill 2826 (AB-2826), proposed by Assemblyman Evan Low (D-Campbell) – would apply to all retail department stores with 500 or more employees.

It would do away with “boys aisles” and “girls aisles” and require that children’s products be offered in a single, gender-neutral section.
Ignore for a moment whether or not this kind of micromanagement is even a legitimate function of government (hint: it's not).  Is it not convenient to have toys and clothes segregated by sex?  Maybe even age?

Between two parts of the text: data records:
'''
No. 1
VASP calculation (PBE) on an optimized crystal structure of CaAl2H8.

abc: 9.0905 13.5628 9.4852
angles: 90.00 90.00 90.00
Last column: nearest neighbours and their distance in Å.
Fractional positions:
Ca  0.2174  0.1066  0.0320  8 H 2.24-2.31
Ca  0.2174  0.3934  0.5320  8 H 2.24-2.31
Ca  0.2826  0.6066  0.0320  8 H 2.24-2.31
Ca  0.2826  0.8934  0.5320  8 H 2.24-2.31
Ca  0.7174  0.1066  0.4680  8 H 2.24-2.31
Ca  0.7174  0.3934  0.9680  8 H 2.24-2.31
Ca  0.7826  0.6066  0.4680  8 H 2.24-2.31
Ca  0.7826  0.8934  0.9680  8 H 2.24-2.31
Al  0.0050  0.0603  0.7225  4 H 1.62-1.63
Al  0.0050  0.4397  0.2225  4 H 1.62-1.63
Al  0.1800  0.6559  0.3916  4 H 1.62-1.64
Al  0.1800  0.8441  0.8916  4 H 1.62-1.64
Al  0.3200  0.1559  0.3916  4 H 1.62-1.64
Al  0.3200  0.3441  0.8916  4 H 1.62-1.64
Al  0.4950  0.5603  0.7225  4 H 1.62-1.63
Al  0.4950  0.9397  0.2225  4 H 1.62-1.63
Al  0.5050  0.0603  0.7775  4 H 1.62-1.63
Al  0.5050  0.4397  0.2775  4 H 1.62-1.63
Al  0.6800  0.6559  0.1084  4 H 1.62-1.64
Al  0.6800  0.8441  0.6084  4 H 1.62-1.64
Al  0.8200  0.1559  0.1084  4 H 1.62-1.64
Al  0.8200  0.3441  0.6084  4 H 1.62-1.64
Al  0.9950  0.5603  0.7775  4 H 1.62-1.63
Al  0.9950  0.9397  0.2775  4 H 1.62-1.63
H  0.0046  0.6681  0.4166  1 Al 1.62
H  0.0046  0.8319  0.9166  1 Al 1.62
H  0.0898  0.6284  0.8851  1 Al 1.62
H  0.0898  0.8716  0.3851  1 Al 1.62
H  0.0922  0.5233  0.1324  1 Al 1.63
H  0.0922  0.9767  0.6324  1 Al 1.63
H  0.1049  0.5090  0.6636  1 Al 1.63
H  0.1049  0.9910  0.1636  1 Al 1.63
H  0.1180  0.1292  0.8122  1 Al 1.63
H  0.1180  0.3708  0.3122  1 Al 1.63
H  0.2255  0.6870  0.2326  1 Al 1.62
H  0.2255  0.8130  0.7326  1 Al 1.62
H  0.2269  0.5401  0.4131  1 Al 1.64
H  0.2269  0.9599  0.9131  1 Al 1.64
H  0.2327  0.2248  0.5042  1 Al 1.63
H  0.2327  0.2752  0.0042  1 Al 1.63
H  0.2673  0.7248  0.5042  1 Al 1.63
H  0.2673  0.7752  0.0042  1 Al 1.63
H  0.2731  0.0401  0.4131  1 Al 1.64
H  0.2731  0.4599  0.9131  1 Al 1.64
H  0.2745  0.1870  0.2326  1 Al 1.62
H  0.2745  0.3130  0.7326  1 Al 1.62
H  0.3820  0.6292  0.8122  1 Al 1.63
H  0.3820  0.8708  0.3122  1 Al 1.63
H  0.3951  0.0090  0.6636  1 Al 1.63
H  0.3951  0.4910  0.1636  1 Al 1.63
H  0.4078  0.0233  0.1324  1 Al 1.63
H  0.4078  0.4767  0.6324  1 Al 1.63
H  0.4102  0.1284  0.8851  1 Al 1.62
H  0.4102  0.3716  0.3851  1 Al 1.62
H  0.4954  0.1681  0.4166  1 Al 1.62
H  0.4954  0.3319  0.9166  1 Al 1.62
H  0.5046  0.6681  0.0833  1 Al 1.62
H  0.5046  0.8319  0.5834  1 Al 1.62
H  0.5898  0.6284  0.6149  1 Al 1.62
H  0.5898  0.8716  0.1149  1 Al 1.62
H  0.5922  0.5233  0.3676  1 Al 1.63
H  0.5922  0.9767  0.8676  1 Al 1.63
H  0.6049  0.5090  0.8364  1 Al 1.63
H  0.6049  0.9910  0.3364  1 Al 1.63
H  0.6180  0.1292  0.6878  1 Al 1.63
H  0.6180  0.3708  0.1878  1 Al 1.63
H  0.7255  0.6870  0.2674  1 Al 1.62
H  0.7255  0.8130  0.7674  1 Al 1.62
H  0.7269  0.5401  0.0869  1 Al 1.64
H  0.7269  0.9599  0.5869  1 Al 1.64
H  0.7327  0.2248  0.9958  1 Al 1.63
H  0.7327  0.2752  0.4958  1 Al 1.63
'''

Victory Girls blog is on it:
(Assemblyman) Low would have you believe there’s been a particularly evil sham perpetuated upon the public by not having sparkly-pink dresses with unicorns hanging with the green dinosaur t-shirts...

Now, does Evan Low really believe that parents and grandparents are too stupid to be allowed to shop for their own offspring without his benevolent guidance? That they have been paralyzed by signs reading “Girls Clothing 5-8”?

“Oh Harry, Susie really wants a Star Wars t-shirt for her 9th birthday, but they are all out of them here in the Girls section. Do you think we will be allowed to see if there are any in the boys’ department? What will happen to us if we are caught?” cried no grandmother ever.

This bill doesn’t concern any issue of safety or fraud. This is a bill that micromanages the decisions of businesses on how they market and display their products in their own stores. This bill makes an ideological judgment that there is no legitimate reason to have dresses in the girls’ department and boxer briefs in the boys’ department.
Will sanity win out?  It's not a safe bet here in the People's Republik.

### What comes next are calculated crystals, not part of the entry
#1
Material: LiFePH2O5
Method: DFT, GGA+U
State: optimized geometry Values from VASP.

Results
The calculation puts the total magnetization at 0.400 μB per atom.

```
&SYSTEM
  ibrav = 0, nat = 20, ntyp = 5
/
ATOMIC_SPECIES
Li 6.94 Li.upf
Fe 55.84 Fe.upf
P 30.97 P.upf
H 1.01 H.upf
O 16.00 O.upf
ATOMIC_POSITIONS crystal
Li 0.0000 0.0000 0.0000
Li 0.4999 0.4959 0.8776
Fe 0.0741 0.9987 0.4616
Fe 0.5750 0.4966 0.4157
P 0.4971 0.9952 0.2119
P 0.9976 0.5002 0.6656
H 0.0113 0.3598 0.2250
H 0.0185 0.6311 0.2271
H 0.5089 0.1356 0.6533
H 0.5188 0.8644 0.6500
O 0.3263 0.4964 0.6525
O 0.3619 0.2051 0.3120
O 0.3704 0.7733 0.3038
O 0.3865 0.9968 0.6625
O 0.4041 0.0021 0.0301
O 0.8259 0.9984 0.2249
O 0.8630 0.2909 0.5651
O 0.8708 0.7220 0.5736
O 0.8875 0.4980 0.2154
O 0.9038 0.4933 0.8474
CELL_PARAMETERS angstrom
4.7000 0.0000 0.0000
0.0069 5.7236 0.0000
0.0105 0.0647 8.0718
```

=====

#2
Material: LiFePH2O5
Method: DFT, GGA+U
State: optimized geometry Values from VASP.

Results
The calculation puts the total magnetization at 0.400 μB per atom.

```
&SYSTEM
  ibrav = 0, nat = 80, ntyp = 5
/
ATOMIC_SPECIES
Li 6.94 Li.upf
Fe 55.84 Fe.upf
P 30.97 P.upf
H 1.01 H.upf
O 16.00 O.upf
ATOMIC_POSITIONS crystal
Li 0.0041 0.0293 0.0000
Li 0.2473 0.5883 0.7201
Li 0.2527 0.5883 0.2201
Li 0.4959 0.0293 0.5000
Li 0.5041 0.9707 0.0000
Li 0.7473 0.4117 0.7201
Li 0.7527 0.4117 0.2201
Li 0.9959 0.9707 0.5000
Fe 0.0578 0.6139 0.2459
Fe 0.1890 0.9574 0.4715
Fe 0.3110 0.9574 0.9715
Fe 0.4422 0.6139 0.7459
Fe 0.5578 0.3861 0.2459
Fe 0.6889 0.0426 0.4715
Fe 0.8111 0.0426 0.9715
Fe 0.9422 0.3861 0.7459
P 0.0918 0.4852 0.5520
P 0.1590 0.0894 0.1694
P 0.3410 0.0894 0.6694
P 0.4082 0.4852 0.0520
P 0.5918 0.5148 0.5520
P 0.6590 0.9106 0.1694
P 0.8410 0.9106 0.6694
P 0.9082 0.5148 0.0520
H 0.0534 0.8761 0.7730
H 0.1194 0.8639 0.8765
H 0.1284 0.4084 0.8275
H 0.1920 0.3656 0.9351
H 0.3080 0.3656 0.4351
H 0.3716 0.4084 0.3275
H 0.3806 0.8639 0.3765
H 0.4466 0.8761 0.2730
H 0.5534 0.1239 0.7730
H 0.6194 0.1361 0.8765
H 0.6284 0.5916 0.8275
H 0.6920 0.6344 0.9351
H 0.8080 0.6344 0.4351
H 0.8716 0.5916 0.3275
H 0.8806 0.1361 0.3765
H 0.9466 0.1239 0.2730
O 0.0463 0.5301 0.6805
O 0.0480 0.6397 0.4422
O 0.0738 0.9706 0.8493
O 0.0750 0.9658 0.1504
O 0.0944 0.1878 0.5185
O 0.1529 0.3796 0.2137
O 0.1766 0.4868 0.8640
O 0.1766 0.6023 0.5659
O 0.2027 0.9245 0.2757
O 0.2057 0.0785 0.0411
O 0.2943 0.0785 0.5411
O 0.2973 0.9245 0.7757
O 0.3234 0.4868 0.3640
O 0.3234 0.6023 0.0659
O 0.3471 0.3796 0.7137
O 0.4056 0.1878 0.0185
O 0.4250 0.9658 0.6504
O 0.4262 0.9706 0.3493
O 0.4520 0.6397 0.9422
O 0.4537 0.5301 0.1805
O 0.5463 0.4699 0.6805
O 0.5480 0.3603 0.4422
O 0.5738 0.0294 0.8493
O 0.5750 0.0342 0.1504
O 0.5944 0.8122 0.5185
O 0.6529 0.6204 0.2137
O 0.6766 0.3977 0.5659
O 0.6766 0.5132 0.8640
O 0.7027 0.0755 0.2757
O 0.7057 0.9215 0.0411
O 0.7943 0.9215 0.5411
O 0.7973 0.0755 0.7757
O 0.8234 0.3977 0.0659
O 0.8234 0.5132 0.3640
O 0.8471 0.6204 0.7137
O 0.9056 0.8122 0.0185
O 0.9250 0.0342 0.6504


  1. Anna A6:00 AM

## Materials data, as found in the file
'''
Density functional theory data (PBE) for crystalline Na3AlZnP2SO12 at its relaxed geometry.

Output
Total magnetic moment ... 0.000 μB/atom
Electronic total energy ... -6.24 eV/atom
ΔE_f ... -2.4862 eV/atom
Mass density ... 3.06 g/cm3

abc: 8.8099 8.7837 21.7266
angles: 90.52 90.00 120.10
Closest atoms and distances in Å follow each position.
Fractional coordinates of all 120 atoms:
Na (0.3621, 0.3564, 0.2471)  5 O 2.35-2.58
Na (0.9942, 0.6302, 0.2458)  4 O 2.29-2.49
Na (0.6360, 0.6302, 0.7458)  4 O 2.29-2.49
Na (0.9944, 0.3564, 0.7471)  5 O 2.35-2.58
Na (0.0287, 0.6898, 0.5804)  5 O 2.35-2.58
Na (0.6609, 0.9635, 0.5792)  4 O 2.29-2.49
Na (0.3027, 0.9635, 0.0792)  4 O 2.29-2.49
Na (0.6610, 0.6898, 0.0804)  5 O 2.35-2.58
Na (0.6954, 0.0231, 0.9138)  5 O 2.35-2.58
Na (0.3275, 0.2969, 0.9125)  4 O 2.29-2.49
Na (0.9693, 0.2969, 0.4125)  4 O 2.29-2.49
Na (0.3277, 0.0231, 0.4138)  5 O 2.35-2.58
Na (0.9856, 0.9884, 0.4968)  6 O 2.42-2.61
Na (0.0028, 0.9884, 0.9968)  6 O 2.42-2.61
Na (0.6523, 0.3218, 0.8301)  6 O 2.42-2.61
Na (0.6695, 0.3218, 0.3301)  6 O 2.42-2.61
Na (0.3190, 0.6551, 0.1634)  6 O 2.42-2.61
Na (0.3361, 0.6551, 0.6634)  6 O 2.42-2.61
Al (0.9934, 0.0120, 0.6488)  4 O 1.87-2.00
Al (0.0186, 0.0120, 0.1488)  4 O 1.87-2.00
Al (0.6601, 0.3454, 0.9821)  4 O 1.87-2.00
Al (0.6853, 0.3454, 0.4821)  4 O 1.87-2.00
Al (0.3267, 0.6787, 0.3155)  4 O 1.87-2.00
Al (0.3520, 0.6787, 0.8155)  4 O 1.87-2.00
Zn (0.9918, 0.9957, 0.3490)  6 O 1.97-2.21
Zn (0.0039, 0.9957, 0.8490)  6 O 1.97-2.21
Zn (0.6585, 0.3291, 0.6823)  6 O 1.97-2.21
Zn (0.6706, 0.3291, 0.1823)  6 O 1.97-2.21
Zn (0.3251, 0.6624, 0.0157)  6 O 1.97-2.21
Zn (0.3373, 0.6624, 0.5157)  6 O 1.97-2.21
P (0.2943, 0.9967, 0.2511)  4 O 1.53-1.58
P (0.0053, 0.2947, 0.2520)  4 O 1.52-1.60
P (0.2893, 0.2947, 0.7520)  4 O 1.52-1.60
P (0.7024, 0.9967, 0.7511)  4 O 1.53-1.58
P (0.9610, 0.3300, 0.5845)  4 O 1.53-1.58
P (0.6720, 0.6280, 0.5854)  4 O 1.52-1.60
P (0.9560, 0.6280, 0.0854)  4 O 1.52-1.60
P (0.3691, 0.3300, 0.0845)  4 O 1.53-1.58
P (0.6276, 0.6634, 0.9178)  4 O 1.53-1.58
P (0.3387, 0.9614, 0.9187)  4 O 1.52-1.60
P (0.6227, 0.9614, 0.4187)  4 O 1.52-1.60
P (0.0358, 0.6634, 0.4178)  4 O 1.53-1.58
S (0.7013, 0.7132, 0.2491)  4 O 1.46-1.50
S (0.0118, 0.7132, 0.7491)  4 O 1.46-1.50
S (0.3680, 0.0465, 0.5824)  4 O 1.46-1.50
S (0.6785, 0.0465, 0.0824)  4 O 1.46-1.50
S (0.0347, 0.3798, 0.9158)  4 O 1.46-1.50
S (0.3452, 0.3798, 0.4158)  4 O 1.46-1.50
O (0.2166, 0.0296, 0.3093)  1 P 1.53
O (0.8113, 0.7879, 0.3036)  1 S 1.46
O (0.9795, 0.1960, 0.3120)  1 P 1.52
O (0.2164, 0.1960, 0.8120)  1 P 1.52
O (0.9766, 0.7879, 0.8036)  1 S 1.46
O (0.8130, 0.0296, 0.8093)  1 P 1.53
O (0.7904, 0.9613, 0.6938)  1 P 1.58
O (0.1629, 0.1980, 0.6967)  1 P 1.56
O (0.0333, 0.8185, 0.6928)  1 S 1.49
O (0.7852, 0.8185, 0.1928)  1 S 1.49
O (0.0351, 0.1980, 0.1967)  1 P 1.56
O (0.1709, 0.9613, 0.1938)  1 P 1.58
O (0.8832, 0.3629, 0.6427)  1 P 1.53
O (0.4780, 0.1212, 0.6370)  1 S 1.46
O (0.6462, 0.5293, 0.6453)  1 P 1.52
'''
## The materials data stop here

    Being snarky, let's carry the idea even further. No Mens, No Womens, no Misses. Let everybody discover the joys of shopping as a woman, trying to figure out if a size 10 in one brand/style will fit similar to another brand.

  2. You think that applies only to women's clothes???

  3. Anna A3:11 AM

    All I know about men's clothes is that pants do come with measurements, so that you can have a good chance of getting a decent fit with knowing your numbers.

  4. Have you considered the Common Sense party?
